Work order
Your job: search the block underneath for the word "properties" and set down each line that has it.
Source
=====
Entry from the OMol25 dataset: a molecular structure, C33H34N5O4RuS4 (ωB97M-V with the def2-TZVPD basis set).

Geometry as XYZ:
```
81
Properties=species:S:1:pos:R:3
Ru -0.03481 -0.03974 0.22275
S 0.25952 0.09957 4.81481
C 0.41841 0.16710 3.16865
S 1.00099 -1.18760 2.27073
S 0.01200 1.54875 2.22503
C 5.63020 -1.63192 -5.70841
O 4.44046 -1.64886 -4.94401
C 3.41580 -2.43169 -5.39525
C 3.44433 -3.17619 -6.56114
C 2.34791 -3.95237 -6.92143
C 1.23304 -3.99279 -6.10685
C 1.20456 -3.25689 -4.92887
C 2.28238 -2.45712 -4.56769
N 2.35306 -1.71339 -3.38378
C 1.33889 -1.19864 -2.60606
N 0.16639 -1.01001 -3.23720
C -1.03672 -0.41111 -2.80801
C -1.37759 -0.13892 -1.48999
C -2.60821 0.48732 -1.26046
C -3.47979 0.79279 -2.29186
C -3.13869 0.48309 -3.60085
C -1.92140 -0.11171 -3.85984
O -1.50551 -0.48580 -5.12030
C -1.89404 0.33872 -6.20478
N 1.54234 -0.92669 -1.35450
C 2.83670 -1.09667 -0.81377
C 3.12865 -2.17658 0.00930
C 4.37826 -2.31006 0.59443
C 5.35046 -1.35437 0.36056
C 5.09273 -0.28475 -0.48653
C 3.84976 -0.16252 -1.08746
O 3.51697 0.84619 -1.95305
C 4.58327 1.50491 -2.60586
H 6.31036 -0.95383 -5.19962
H 5.44974 -1.26238 -6.72097
H 6.08209 -2.62567 -5.76176
H 4.31379 -3.16183 -7.20234
H 2.38634 -4.53278 -7.83337
H 0.38404 -4.60831 -6.37190
H 0.34405 -3.32332 -4.27833
H 3.28657 -1.51633 -3.06180
H 0.18051 -1.13660 -4.23837
H -2.90212 0.74442 -0.24870
H -4.43209 1.26586 -2.08535
H -3.82438 0.70104 -4.40869
H -2.97778 0.41223 -6.30361
H -1.49223 -0.13366 -7.09825
H -1.47553 1.34315 -6.09721
H 2.35513 -2.91458 0.17631
H 4.58011 -3.15107 1.24375
H 6.31949 -1.44266 0.83398
H 5.86528 0.44766 -0.68293
H 4.14260 2.04355 -3.44265
H 5.31677 0.79110 -2.99145
H 5.08901 2.21765 -1.94758
S -4.07396 -1.58720 2.91399
C -2.84019 -0.51096 2.34260
N -2.01126 -1.00560 1.49587
C -2.29366 -2.33471 1.22059
C -1.58029 -3.16413 0.35331
C -2.00408 -4.46422 0.18502
C -3.12928 -4.94794 0.85993
C -3.84103 -4.14564 1.72843
C -3.40994 -2.83616 1.90856
H -2.79128 0.50506 2.71100
H -0.72027 -2.76043 -0.16595
H -1.46229 -5.12709 -0.47729
H -3.45293 -5.96718 0.69327
H -4.71062 -4.52012 2.25213
C 1.24705 4.53980 -1.86602
N 2.13295 3.76959 -1.00627
C 3.46476 4.26783 -0.73035
C 1.71073 2.58909 -0.54723
O 0.61712 2.10812 -0.83431
H 1.74773 5.45668 -2.16548
H 0.32885 4.78700 -1.33239
H 0.97410 3.96744 -2.75329
H 3.42183 5.32684 -0.47849
H 4.11895 4.13981 -1.59745
H 3.89138 3.72925 0.11471
H 2.41889 2.09105 0.12883
```

Computed properties:
Energy relative to the best compared isomer or geometry (same formula, charge and spin): 9.9 kcal per mole
HOMO (spin up / spin down): -6.33 / -6.88 eV
Charge: 0
Multiplicity: 6
E_tot: -3540.211093 hartree
Kohn-Sham gap (spin up / spin down): 6.59 / 6.31 eV

----------

# 1
Below is C8H16AgCl8NiO4PSn as an isolated structure in a non-equilibrium geometry, with properties calculated with the ωB97M-V functional and the def2-TZVPD basis.

Summary:
**Energy**: -6506.71356 a.u.
**HOMO level (spin up / spin down)**: -17.086 / -17.086 eV
**LUMO level (spin up / spin down)**: -0.44414 / -0.53745 Ha

```
! wB97M-V def2-TZVPD RIJCOSX def2/J DEFGRID3
* xyz 3 4
Ag -9.0195 -19.4766 21.5211
Ni -9.4298 -15.7920 23.4006
Sn -5.4398 -17.3259 21.1277
P -8.7096 -16.7287 21.4883
O -9.9133 -15.8370 21.4373
O -9.1816 -17.6359 22.6627
O -7.6281 -16.0812 22.4383
O -8.1764 -17.6861 20.3644
Cl -11.8438 -15.8757 23.9543
C -12.3031 -14.1748 23.8709
C -11.5577 -13.4888 22.7635
Cl -9.8302 -13.1243 23.0769
H -12.2092 -13.6882 24.8392
H -13.3673 -14.1705 23.6342
H -12.0044 -12.4914 22.7771
H -11.6462 -13.8634 21.7479
Cl -7.1417 -21.1764 16.7621
C -7.3430 -19.5583 16.2175
C -6.8789 -18.5198 17.2557
Cl -7.4538 -16.8872 16.8506
H -8.3792 -19.3478 15.9458
H -6.8433 -19.4495 15.2544
H -5.7894 -18.4872 17.2665
H -7.2373 -18.8343 18.2356
Cl -11.9359 -13.0270 18.9708
C -11.6194 -14.7883 18.8105
C -12.2009 -15.4570 17.6022
Cl -11.3576 -14.8507 16.1421
H -11.9796 -15.2495 19.7310
H -10.5343 -14.8653 18.7773
H -13.2723 -15.2654 17.4695
H -12.0625 -16.5423 17.5530
=====
Solution
Computed properties:
Below is C8H16AgCl8NiO4PSn as an isolated structure in a non-equilibrium geometry, with properties calculated with the ωB97M-V functional and the def2-TZVPD basis.